The PTAB Simply ‘Hasn’t Worked Out’ as Intended
“The assumptions of Congress on point after point [with respect to the PTAB] have turned out to be wrong…they should revisit the entire situation.”- Judge Paul Michel
“Reforming the PTAB” Panelists (from left) Kayvan Noroozi, David Kappos and Candice Wright
During the PTAB Masters 2023 program, which was held this week on Tuesday and Wednesday at IPWatchdog’s headquarters in Ashburn, Virginia, former U.S. Patent and Trademark Office (USPTO) Director David Kappos explained on a panel about potential reform of the Patent Trial and Appeal Board (PTAB) that the PTAB was meant to be an alternative to district court, but “that hasn’t worked out.” Kappos was Director during the enactment and implementation of the America Invents Act (AIA), which established the PTAB.
“It wasn’t anticipated that the vast majority of proceedings would have parallel court proceedings,” Kappos remarked. He added that the USPTO Director was also supposed to have broad discretion to pass on instituting AIA cases for any reason, but that also has not panned out.
Brad Watts, now Vice President of Innovation Policy with the U.S. Chamber of Commerce and formerly the Minority Chief Counsel of the Senate Judiciary Committee Subcommittee on Intellectual Property, also joined the PTAB Reform panel and said that, as far as prospects for fixing some of the problems, IP law and policy is “wonky” and so there is always going to be congressional interest primarily from those who are knowledgeable and passionate about the issues, such as Senators Chris Coons (D-DE) and Thom Tillis (R-NC) or Representatives Darrell Issa (R-CA) and Thomas Massie (R-KY). “Those are who IP owners need to look to,” Watts said.
Potential solutions raised for reform include making the burdens of proof consistent between the PTAB and district courts and a “choose your own adventure approach” that would force petitioners to decide whether to bring the case in the PTAB or district court, “but not both,” Kappos said.
Hon. Scott Boalick
On another panel that reviewed the present PTAB landscape, retired U.S. Court of Appeals for the Federal Circuit (CAFC) Chief Judge Paul Michel spent some time recapping the “tortuous history” of the OpenSky v. VLSI case at the PTAB, in which OpenSky was found by USPTO Director Kathi Vidal last year to have engaged in extortion, but was initially not even dismissed from the case. Michel said that “the assumptions of Congress on point after point [with respect to the PTAB] have turned out to be wrong” and that they “should revisit the entire situation.” Since the USPTO couldn’t fix the problems even if they wanted to because of the way the statute is presently written, Congress must step in to address things like the standing requirement to bring an IPR and the burden of proof, Michel said. He added: “I’m hoping the end result of the scandal of [the OpenSky] case is that Congress re-enters the arena and clarifies and corrects the law.”
Candice Wright
On the same panel with Michel, PTAB Chief Judge Scott Boalick told attendees that the Office has received more than 4,000 comments in response to a call for comments on Director Review requests and the Office has processed about 183 Director Review requests so far. Boalick said the Office is “looking at next steps on rulemaking” with respect to Director Review and other issues and that those rules packages are “moving.” Boalick added: “We are looking for comments on all of these things.”
Candice Wright of the Government Accountability Office (GAO) also joined Tuesday’s panel on PTAB Reform and provided a recap of the GAO’s findings with respect to a recent study that found 75% of PTAB judges surveyed said their independence was affected by USPTO officials and PTAB management. Wright stressed that the GAO was chiefly concerned with transparency. “One of the things that became clear [during the GAO’s study] was that [PTAB] judges just wanted insight into who was providing comments on decisions. That’s what we want transparency about. How do you make a culture where there is trust?”
Unrelated to this text: materials data:
- - -
Diffraction record for Sr3NiP2. The powder diffraction line list is calculated, not measured: it uses a crystal structure in Alexandria, relaxed with PBE and Cu Kα (λ = 1.5418 Å).
Lines closer than 0.1° are merged.

Atomic structure:
Cell: 11.8182 4.2609 12.1390 Å, 90.00 90.00 90.00°
Space group Pnma (No. 62)
Unique sites:
Sr  0.0632  0.2500  0.1231 [4 per cell]
Sr  0.1182  0.7500  0.5530 [4 per cell]
Sr  0.2047  0.2500  0.8061 [4 per cell]
Ni  0.1268  0.2500  0.3620 [4 per cell]
P  0.0384  0.7500  0.3163 [4 per cell]
P  0.2020  0.7500  0.9815 [4 per cell]

Top 10 peaks for 2θ = 10–90°, in order of rising 2θ:
- hkl 2 1 1, 3.324 Å, 26.82°, I = 26
- hkl 2 1 2, 3.003 Å, 29.75°, I = 40
- hkl 0 1 3, 2.936 Å, 30.45°, I = 100
- hkl 4 0 1, 2.871 Å, 31.16°, I = 29
- hkl 3 1 1, 2.814 Å, 31.80°, I = 24
- hkl 3 1 2, 2.611 Å, 34.34°, I = 51
- hkl 4 1 1, 2.381 Å, 37.79°, I = 23
- hkl 2 1 4, 2.280 Å, 39.52°, I = 28
- hkl 2 0 5, 2.246 Å, 40.16°, I = 23
- hkl 0 2 0, 2.130 Å, 42.43°, I = 38

Diffraction record for SrNi5P3. The powder diffraction line list is calculated, not measured: it uses a crystal structure in Alexandria, relaxed with PBE and Cu Kα (λ = 1.5418 Å).
Lines closer than 0.1° are merged.

Atomic structure:
Cell: 3.6171 11.7643 11.6208 Å, 90.00 90.00 90.00°
Space group Cmcm (No. 63)
Unique sites:
Sr  0.0000  0.1621  0.2500 [4 per cell]
Ni  0.0000  0.0000  0.0000 [4 per cell]
Ni  0.0000  0.1979  0.5680 [8 per cell]
Ni  0.0000  0.4498  0.1451 [8 per cell]
P  0.0000  0.1147  0.7500 [4 per cell]
P  0.0000  0.3815  0.5369 [8 per cell]

Top 10 peaks for 2θ = 10–90°, in order of rising 2θ:
- hkl 0 2 3, 3.235 Å, 27.57°, I = 36
- hkl 0 4 1, 2.851 Å, 31.37°, I = 29
- hkl 1 3 0, 2.659 Å, 33.71°, I = 56
- hkl 1 1 3, 2.579 Å, 34.78°, I = 100
- hkl 1 3 2, 2.418 Å, 37.19°, I = 56
- hkl 1 1 4, 2.224 Å, 40.56°, I = 84
- hkl 1 5 0, 1.972 Å, 46.02°, I = 41
- hkl 1 5 2, 1.868 Å, 48.76°, I = 39
- hkl 0 2 6, 1.840 Å, 49.55°, I = 35
- hkl 2 0 0, 1.809 Å, 50.46°, I = 62

Diffraction record for Sr3Ni2P3. The powder diffraction line list is calculated, not measured: it uses a crystal structure in Alexandria, relaxed with PBE and Cu Kα (λ = 1.5418 Å).
Lines closer than 0.1° are merged.

Atomic structure:
Cell: 4.0454 11.0523 15.2341 Å, 90.00 90.00 90.00°
Space group Cmcm (No. 63)
Unique sites:
Sr  0.0000  0.0387  0.2500 [4 per cell]
Sr  0.0000  0.3421  0.0939 [8 per cell]
Ni  0.0000  0.3739  0.6180 [8 per cell]
P  0.0000  0.0701  0.0569 [8 per cell]
P  0.0000  0.2583  0.7500 [4 per cell]

Top 10 peaks for 2θ = 10–90°, in order of rising 2θ:
- hkl 1 1 2, 3.400 Å, 26.21°, I = 17
- hkl 1 1 3, 3.042 Å, 29.36°, I = 20
- hkl 1 3 0, 2.723 Å, 32.89°, I = 100
- hkl 1 1 4, 2.690 Å, 33.31°, I = 81
- hkl 0 0 6, 2.539 Å, 35.35°, I = 33
- hkl 0 4 4, 2.236 Å, 40.33°, I = 32
- hkl 1 3 5, 2.031 Å, 44.62°, I = 22
- hkl 2 0 0, 2.023 Å, 44.81°, I = 32
- hkl 1 3 6, 1.857 Å, 49.05°, I = 29
- hkl 2 4 4, 1.500 Å, 61.85°, I = 17
- - -
The text goes on:
Wright said the USPTO is now taking steps to address the GAO’s recommendations and that there will be upcoming GAO studies on the Trademark Trial and Appeal Board (TTAB) and litigation financing.
Litigation Funders: We’re Not Afraid of the PTAB
In one panel on Tuesday, titled “Evaluating the PTAB Threat to Formulate Patent Assertion and Funding Strategies,” the speakers, who were mostly representatives of litigation financing companies, surprised some in attendance with remarks that indicated they often view the inter partes review (IPR) process as an opportunity. “We view IPRs not as an obstacle but an opportunity,” said Sarah Tsou of Omni Bridgeway. “If it’s that easy to invalidate patents [today], then the claims that are making it through are that much more valuable. You can’t escape forever.”
From left: Joel Merkin, Sarah Tsou, Jim Carmichael, Brad Close and Chris Freeman
Others on the panel agreed that sometimes the risk can pay off. “When a final written decision (FWD) comes out in favor of patent owner, it’s very advantageous,” said Joel Merkin of GLS Capital. Merkin also said that he has even advised patent owner clients in some cases to agree to a stay of district court litigation when they feel confident the FWDs will come out in their favor because then estoppel will apply.
The panelists also said that more patents are better when it comes to funders assessing risk. Chris Freeman of Burford Capital said that “IPRs are a reality. We have to deal with things as they are,” however, he said that there is still an inherent uncertainty associated with the PTAB
“As valid as I think a patent may be, I can’t say what the PTAB is going to do, so more patents are better,” Freeman said. Brad Close of Transpacific IP said “the days of asserting a single patent are over,” and Tsou added: “You need true diversity. Just having 10 patents that are all the same and are going to rise and fall on the same issues isn’t good.”
PTAB Judges Give Us the Good, the Bad and the Ugly
From left: Hon. Kevin Cherry, Hon. Jacqueline Bonilla, Jim Carmichael, Hon. Grace Karaffa Obermann and Hon. Muriel E. Crawford
On Wednesday, the PTAB Masters program concluded with a panel of PTAB Administrative Patent Judges (APJs), who provided advice to attendees about how to succeed before the Board. The judges shared tips such as avoiding focusing too much on attacking the examiner’s reasoning in an appeal; making your strongest argument up front; keeping up with the law (particularly in the area of Section 101); and don’t be afraid to disclaim claims. “You’re not prejudiced if you do that,” said PTAB Deputy Chief Administrative Patent Judge and Senior Legal Advisor, Jacqueline Wright Bonilla.
Bonilla sought to dispel some misconceptions she heard from panelists and attendees earlier in the program, such as that live testimony isn’t allowed at the PTAB or that the Board is hostile to evidence of secondary considerations. The Board is obligated to consider secondary considerations under the law, said Bonilla, but often the evidence just isn’t fleshed out enough.
Finally, Bonilla urged attendees to take advantage of the USPTO’s Motion to Amend Pilot Program and reminded them that filing a reissue or reexamination “is an option before, during, or after an AIA trial.” She also pointed the audience to the Office’s resources and guidance, and urged them to submit comments on the various requests for comments currently pending regarding changes to the PTAB and other USPTO initiatives.
The PTAB Masters 2023 Program was co-chaired by Scott McKeown, a renowned PTAB expert and author, and James Carmichael, a former Administrative Patent Judge, and one of the most successful patent owner representatives.
Join IPWatchdog for our next program in March, Software Masters 2023.